Beardtongue (7)
Beardtongue are also called Penstemon, which is a very large genus that is easy to recognize, but not so easy to identify individual species. The flowers are tubular with two lips; the upper lip is two-lobed and the lower is three-lobed. The leaves are opposite without stalks. The flowers can be blue, purple, lavender, pink or red. The common name Beardtongue comes from the long, hairy stamen which extends from the throat. See Scarlet Penstemon, Mat Penstemon, Palmer's Penstemon and other Penstemon in Blue Long Clusters.
James' Beardtongue
Penstemon jamesii
Plantain (Plantaginaceae)
Photo taken on:
June 3, 2009
White Rock, NM
Life Zones:
Plains to montane
Dry, sandy areas, pinyon-juniper woods
Grows to 1 ½ft with flowers growing crowded on one side of the stem. The narrow lance-shaped leaves are bluish-green and can have smooth, wavy or toothed edges. Flowers have a broad throat which is broader than it is high with prominent purplish streaks. Flowers can be pinkish, pale lavender to violet-blue.
James' Beardtongue is quite variable as can be
=====
Simulated X-ray powder pattern
Compound: Ac3RhPb2
Radiation: Cu Kα, 1.54184 Å
Structure: the GGA-PBE geometry in Alexandria
Kinematic intensities with the Lorentz-polarization factor, no thermal factor.

```
data_Ac3RhPb2
_cell_length_a 13.5179
_cell_length_b 4.6919
_cell_length_c 12.9549
_cell_angle_alpha 90.00
_cell_angle_beta 90.00
_cell_angle_gamma 90.00
_symmetry_space_group_name_H-M 'P n m a'
_symmetry_Int_Tables_number 62
_symmetry_space_group_name_Hall '-P 2ac 2n'
loop_
_atom_site_label
_atom_site_type_symbol
_atom_site_fract_x
_atom_site_fract_y
_atom_site_fract_z
_atom_site_occupancy
Ac1 Ac 0.0518 0.2500 0.1298 1
Ac2 Ac 0.1173 0.7500 0.5420 1
Ac3 Ac 0.2405 0.2500 0.7914 1
Rh1 Rh 0.1307 0.2500 0.3662 1
Pb1 Pb 0.0034 0.7500 0.3081 1
Pb2 Pb 0.1913 0.7500 0.9964 1
```

Top 10 peaks for 2θ from 15° to 90°, by angle:
h k l, d [Å], I/Imax
3 0 2, 3.698, 51
2 1 2, 3.312, 75
0 1 3, 3.177, 100
1 0 4, 3.151, 68
4 0 2, 2.996, 54
3 1 2, 2.905, 72
4 1 1, 2.683, 79
1 1 4, 2.615, 35
2 1 4, 2.480, 58
0 2 0, 2.346, 79

----------

Theoretical powder X-ray diffraction pattern
Compound: Li3Ag2Pb
Radiation: copper Kα
Structure: the PBE geometry in Alexandria
Peak positions follow from Bragg's law for the DFT cell and can differ from measured ones.

Atomic structure:
abc: 4.458 13.264 3.614
angles: 90.00 90.00 90.00
Element x y z (fractional)
Li (0.250, 0.077, 0.001)
Li (0.250, 0.423, 0.001)
Li (0.250, 0.750, 0.998)
Li (0.750, 0.250, 0.002)
Li (0.750, 0.577, 0.999)
Li (0.750, 0.923, 0.999)
Ag (0.250, 0.579, 0.500)
Ag (0.250, 0.921, 0.500)
Ag (0.750, 0.079, 0.500)
Ag (0.750, 0.421, 0.500)
Pb (0.250, 0.250, 0.501)
Pb (0.750, 0.750, 0.499)

Most intense lines, 10° ≤ 2θ ≤ 90°, low angle first:
2theta, I_rel
24.63, 66.7
28.43, 93.3
37.97, 100.0
47.95, 22.1
48.26, 21.5
58.98, 23.5



Theoretical powder X-ray diffraction pattern
Compound: Ac4NiPb8
Radiation: copper Kα
Structure: the PBE geometry in Alexandria
Peak positions follow from Bragg's law for the DFT cell and can differ from measured ones.

Atomic structure:
abc: 4.762 4.868 18.304
angles: 90.00 90.00 90.00
Element x y z (fractional)
Ac (0.000, 0.000, 0.000)
Ac (0.000, 0.500, 0.497)
Ac (0.500, 0.000, 0.202)
Ac (0.500, 0.500, 0.703)
Ni (0.500, 0.000, 0.410)
Pb (0.000, 0.000, 0.344)
Pb (0.000, 0.000, 0.668)
Pb (0.000, 0.500, 0.158)
Pb (0.000, 0.500, 0.855)
Pb (0.500, 0.000, 0.553)
Pb (0.500, 0.000, 0.848)
Pb (0.500, 0.500, 0.039)
Pb (0.500, 0.500, 0.342)

Most intense lines, 10° ≤ 2θ ≤ 90°, low angle first:
2theta, I_rel
29.27, 17.6
30.06, 100.0
36.93, 17.9
37.79, 16.9
48.51, 14.1
62.34, 13.2



Theoretical powder X-ray diffraction pattern
Compound: SrLiAg
Radiation: copper Kα
Structure: the PBE geometry in Alexandria
Peak positions follow from Bragg's law for the DFT cell and can differ from measured ones.

Atomic structure:
abc: 6.688 6.271 8.510
angles: 90.00 112.33 90.00
Element x y z (fractional)
Sr (0.188, 0.124, 0.372)
Sr (0.188, 0.376, 0.872)
Sr (0.812, 0.624, 0.128)
Sr (0.812, 0.876, 0.628)
=====
seen below. All these plants were found in Los Alamos County.
Flora of North America reference.
Handsome Beardtongue
Penstemon lentus
Plantain (Plantaginaceae)
Abajo Beardtongue, Thick Penstemon
Photo taken on:
May 10, 2010
Little Wildhorse Canyon, UT
Life Zones:
Dry, sandy areas, openings
Grows to 1ft tall with a smooth stem and thick, light green, oval-shaped leaves that clasp the stem. Flowers grow mostly on one side of the stem and petals flare back. Color ranges from light purple, lavender through bluish-purple to pinkish. It has light stripes in the throat.
Flora of North America reference.
Sidebells Beardtongue
Penstemon secundiflorus
Plantain (Plantaginaceae)
Sidebells Penstemon, Orchid Beardtongue
Photo taken on:
May 1, 2015
Poshuouinge, Santa Fe NF, NM
Life Zones:
Plains to foothills
Dry, sandy areas,
pinyon-juniper woods
Grows to 1 ½ft with purplish to lavender flowers on one side of the smooth stem. Leaves are thickened, soft bluish-green and lance-shaped.
Flora of North America reference.
Dusty Beardtongue
Penstemon comarrhenus
Plantain (Plantaginaceae)
Lavender Beardtongue, Canyon Beardtongue,
Dusty Penstemon, Pin-striped Penstemon
Photo taken on:
September 11, 2013
Pueblo Canyon, Los Alamos, NM
Life Zones:
Sagebrush, oak, pinyon juniper woods
Grows to 3ft with widely spaced narrow leaves on the stem and broader basal leaves. Flowers grow on one side of the stem and are pale lavender pink with violet red stripes in the throat.
Flora of North America reference.
Colorado Penstemon
Penstemon auriberbis
Plantain (Plantaginaceae)
Fuzzy Tongue Beardtongue
Photo taken on:
May 29, 2016
Wet Mountains, Eastern CO
Life Zones:
Dry sandy
soils, pinyon-juniper woods
Grows to 10" with narrow, grayish-green leaves crowded at the base, and numerous on the stems. Flowers grow mostly on one side of the stem and are lilac with an orange "beardtongue" protruding and stripes in the throat. Grows in southern Colorado and neighboring New Mexico.
Flora of North America reference.
Coiled Anther Penstemon
### Next to the piece, the page also holds materials data
=====
Entry 1:
Diffraction record for Ba2MgWN4. The powder XRD pattern is calculated, not measured: it uses a DFT-relaxed cell (PBE, Alexandria) and a wavelength of 1.5418 Å.
Neutral-atom scattering factors, no anomalous dispersion.

Largest 12 diffraction maxima, sorted by position, 2θ from 10° to 80°:
two_theta  I_rel
18.1  23
18.9  24
27.1  31
29.1  37
31.6  100
34.5  9
40.2  28
50.0  10
50.8  17
53.2  23
58.9  12
66.0  12

Crystal structure
```
data_Ba2MgWN4
_chemical_formula_sum 'Ba4 Mg2 W2 N8'
_space_group_name_H-M_alt 'P m m n'
_space_group_IT_number 59
_cell_length_a 6.1371
_cell_length_b 7.3002
_cell_length_c 6.5846
_cell_angle_alpha 90.00
_cell_angle_beta 90.00
_cell_angle_gamma 90.00
loop_
_space_group_symop_operation_xyz
'x,y,z'
'-x,-y,-z'
'-x+1/2,-y+1/2,z'
'x+1/2,y+1/2,-z'
'x+1/2,-y,-z'
'-x+1/2,y,z'
'-x,y+1/2,-z'
'x,-y+1/2,z'
loop_
_atom_site_label
_atom_site_type_symbol
_atom_site_fract_x
_atom_site_fract_y
_atom_site_fract_z
Ba1 Ba 0.2500 0.0000 0.2467
Mg1 Mg 0.2500 0.2500 0.6926
W1 W 0.2500 0.7500 0.6875
N1 N 0.0071 0.7500 0.5144
N2 N 0.2500 0.5241 0.8343
```

Entry 2:
Diffraction record for Ho2TiS6. The powder XRD pattern is calculated, not measured: it uses a DFT-relaxed cell (PBE, Alexandria) and a wavelength of 1.5418 Å.
Neutral-atom scattering factors, no anomalous dispersion.

Largest 12 diffraction maxima, sorted by position, 2θ from 10° to 80°:
two_theta  I_rel
18.7  61
20.8  82
21.7  46
22.5  82
27.6  100
30.0  50
31.4  35
36.5  35
38.6  39
40.5  43
41.0  48
41.9  47

Crystal structure
```
data_Ho2TiS6
_chemical_formula_sum 'Ho4 Ti2 S12'
_space_group_name_H-M_alt 'P 1 21/c 1'
_space_group_IT_number 14
_cell_length_a 6.4636
_cell_length_b 7.0246
_cell_length_c 9.8757
_cell_angle_alpha 90.00
_cell_angle_beta 123.91
_cell_angle_gamma 90.00
loop_
_space_group_symop_operation_xyz
'x,y,z'
'-x,-y,-z'
'-x,y+1/2,-z+1/2'
'x,-y+1/2,z+1/2'
loop_
_atom_site_label
_atom_site_type_symbol
_atom_site_fract_x
_atom_site_fract_y
_atom_site_fract_z
Ho1 Ho 0.2018 0.1286 0.2303
Ti1 Ti 0.5000 0.0000 0.0000
S1 S 0.1172 0.1639 0.9255
S2 S 0.2951 0.6871 0.9636
S3 S 0.3737 0.0096 0.7220
```

Entry 3:
Diffraction record for V3Co4. The powder XRD pattern is calculated, not measured: it uses a DFT-relaxed cell (PBE, Alexandria) and a wavelength of 1.5418 Å.
Neutral-atom scattering factors, no anomalous dispersion.

Largest 12 diffraction maxima, sorted by position, 2θ from 10° to 80°:
two_theta  I_rel
31.3  3
38.1  5
39.4  6
41.7  10
44.5  100
45.2  80
46.3  6
51.5  9
57.2  4
65.3  19
67.9  3
79.0  4

Crystal structure
```
data_V3Co4
_chemical_formula_sum 'V18 Co24'
_space_group_name_H-M_alt 'R -3'
_space_group_IT_number 148
_space_group_name_Hall '-R 3'
_cell_length_a 10.7650
_cell_length_b 10.7650
_cell_length_c 4.8874
_cell_angle_alpha 90.00
_cell_angle_beta 90.00
_cell_angle_gamma 120.00
loop_
_atom_site_label
_atom_site_type_symbol
_atom_site_fract_x
_atom_site_fract_y
_atom_site_fract_z
V1 V 0.0436 0.8214 0.2216
Co1 Co 0.0000 0.0000 0.0000
=====
### Here the piece continues
Penstemon ophianthus (Penstemon jamesii ssp. ophianthus)
Plantain (Plantaginaceae)
Snake-flowered Penstemon, Arizona Beardtongue
Photo taken on:
May 14, 2015
Poshuouinge, Santa Fe NF/FS Rd 23, Carson
Life Zones:
Plains to foothills
Dry, sandy, gravelly areas, pinyon-juniper woods
Growing about 8" high with many narrow lance-shaped 2" leaves both basal and on the stems. Flowers and buds are very sticky hairy and grow on one side of the stem. Flowers are lavender to violet, about ½" long with a densely hairy throat and tongue which extends from the throat. Similar to P. jamesii but much shorter.
Flora of North America reference.
Toadflax Beardtongue
Penstemon linarioides var. coloradoensis
Plantain (Plantaginaceae)
Toadflax Penstemon, Colorado Narrow-leaf Beardtongue
Photo taken on:
June 15, 2019
FS Road 137, Carson NF, NM
Life Zones:
Plains to montane
Open areas, dry woodlands
Growing from 8" to 20" high with narrow, light green leaves crowded at the base, sparse on the stems. Pale lavender flowers grow on one side of the stem. They are ½" to ¾" long with a white throat, deep purple guidelines and a hairy, yellow-tipped tongue.
Flora of North America reference.